Contents:
********
{
  "formula": "C54H64Ge2NS4SiZn",
  "method": "ωB97M-V with the def2-TZVPD basis set",
  "symbols": ["Zn", "C", "C", "C", "C", "C", "C", "C", "C", "C", "C", "C", "C", "C", "C", "C", "Ge", "S", "S", "Ge", "S", "S", "C", "C", "C", "C", "C", "C", "C", "C", "C", "C", "C", "C", "C", "C", "C", "C", "C", "C", "C", "C", "C", "C", "C", "C", "C", "C", "C", "C", "C", "C", "C", "C", "C", "H", "H", "H", "H", "H", "H", "H", "H", "H", "H", "H", "H", "H", "H", "H", "H", "H", "H", "H", "H", "H", "H", "H", "H", "H", "H", "H", "H", "H", "H", "H", "H", "H", "H", "H", "H", "H", "H", "H", "H", "H", "H", "H", "H", "H", "H", "H", "H", "H", "H", "C", "Si", "C", "C", "H", "H", "H", "H", "H", "H", "H", "H", "H", "C", "C", "C", "N", "H", "H", "H", "H", "H"],
********
To do:
Now set down the part of the block above that starts with the line with "formula" and stops after the one with "the def2-TZVPD".
Solution:
  "formula": "C54H64Ge2NS4SiZn",
  "method": "ωB97M-V with the def2-TZVPD basis set",